What, Where, Wither, When HMNZS ROYALIST 1956 – 1966

The cruiser ROYALIST commissioned at Plymouth in the United Kingdom on 17 May 1956.
After undergoing trials, the ship sailed from the United Kingdom on 16 July 1956 for the Mediterranean to undergo a period of exercises with units of the Royal Navy.
During this exercise period, the ship visited Marseilles and Naples. While at Naples, a representative party attended the unveiling by Lord Alexander of the Commonwealth War Memorial at Cassino.
When the Suez crisis arose, ROYALIST was in the Mediterranean but was not committed to operations against Egypt.
On 10 November 1956, the ship sailed for New Zealand by way of Freetown, Simonstown, Mauritius, Fremantle, and Hobart, arriving at Auckland on 20 December 1956.
After giving leave to the ship’s company and undergoing a period of docking, ROYALIST sailed on 11 February 1957 for a cruise of New Zealand ports. Ports visited included Gisborne, Napier, Lyttelton, Timaru. Dunedin, Bluff, Picton, New Plymouth and Wellington. ROYALIST returned to Auckland on 21 March 1957.
The cruiser ROYALIST re-commissioned at Auckland on 9 April 1957 and, after a period of self-maintenance and trials in the Auckland area, departed for Sydney on 20 May.
After an intensive work-up and exercise programme in the Sydney-Jervis Bay area, the ship joined the Far East Fleet at Singapore on 18 July 1957 as New Zealand’s naval contribution to the Far East Strategic Reserve until 16 June 1958.
• Someone pasted data records at this point:
-- begin --
No. 1
ORCA calculation (wB97M-V/def2-TZVPD) on a cluster of 2 separate species, C4H15N3O in total.

Values from the calculation:
HOMO-LUMO gap = 0.35943 Ha
molecular weight = 121.18 u
max |F| = 7.1 eV/A
multiplicity = 1
relative energy (zero: lowest compared OMol25 entry of this formula, charge and spin) = 316.8 kJ/mol
SMILES string = C[C@H](CN)NCN.O

```
23
C4H15N3O | OMol25 | wB97M-V/def2-TZVPD
C -0.1114 1.1287 1.1457
N 1.1794 1.1007 1.9795
C -0.5588 -0.1171 0.4940
C -1.9525 -0.8406 0.9059
N -0.5443 0.0916 -0.9516
C -0.2207 -1.0753 -1.7015
N 1.4244 -1.3851 -1.6342
H -0.9711 1.3355 1.8417
H 0.0846 2.0342 0.5169
H 1.7546 1.8662 1.6382
H 1.0629 0.8459 3.0177
H 0.1631 -0.9929 0.7689
H -2.1706 -1.3294 1.9377
H -2.7181 -0.1756 0.7973
H -2.3160 -1.6559 0.2055
H -1.3844 0.4888 -1.3246
H -0.4079 -1.0853 -2.7707
H -0.8781 -1.9468 -1.3120
H 1.8573 -0.9438 -2.3569
H 1.7631 -1.4875 -0.6699
H 2.0427 0.8908 -0.4109
H 0.9894 1.6258 -1.0903
O 1.9125 1.6274 -1.0263
```


No. 2
ORCA calculation (wB97M-V/def2-TZVPD) on a cluster of 15 separate species, C28H87N9O15 in total.

Values from the calculation:
HOMO-LUMO gap = 0.30490 Ha
molecular weight = 790.05 u
max |F| = 7.4 eV/A
multiplicity = 1

```
139
C28H87N9O15 | OMol25 | wB97M-V/def2-TZVPD
C 6.3373 3.6829 -3.0604
C 5.6707 2.4781 -3.6971
O 4.4985 2.4270 -2.9078
H 5.8338 4.6438 -3.1675
H 7.2694 3.6972 -3.6252
H 6.6009 3.4519 -2.0283
H 6.3129 1.6034 -3.5938
H 5.4460 2.7236 -4.7351
H 3.7442 2.2546 -3.4761
C 3.1169 6.0479 -2.5787
C 2.2013 5.1035 -1.6943
O 3.1220 4.2248 -0.9849
H 3.7002 6.7241 -1.9536
H 2.5707 6.7165 -3.2440
H 3.7923 5.4564 -3.1967
H 1.4651 4.6665 -2.3689
H 1.6873 5.7351 -0.9696
H 3.3899 3.6104 -1.6722
C 4.9597 1.9335 1.0355
C 4.6192 0.3822 1.1331
O 5.8711 -0.2049 1.3209
H 5.9288 2.0713 0.5559
H 4.7626 2.5848 1.8870
H 4.1734 2.2254 0.3394
H 4.0357 0.0420 0.2776
H 4.0613 0.3210 2.0675
H 6.1342 -0.0234 2.2261
C -5.6501 -2.5531 5.9107
C -6.0137 -1.5635 4.7443
O -4.7777 -1.2690 4.1344
H -4.7629 -2.2297 6.4551
H -5.4292 -3.5678 5.5793
H -6.5364 -2.6893 6.5303
H -6.3990 -0.5530 4.8810
H -6.7363 -2.0652 4.1006
H -4.9356 -0.6979 3.3790
C -5.4880 1.5507 1.6345
C -6.0319 0.3323 0.8037
O -5.6789 -0.8200 1.5131
H -5.7977 1.7297 2.6641
H -5.7660 2.4735 1.1253
H -4.3984 1.5494 1.6032
H -5.7443 0.3290 -0.2476
H -7.0864 0.5988 0.7332
H -6.2831 -1.5577 1.4024
C 1.8683 -3.8827 1.5038
C 1.0310 -4.9748 2.3002
O -0.1602 -4.4889 2.8143
H 2.1352 -3.0022 2.0884
H 1.3184 -3.4965 0.6456
H 2.7127 -4.3919 1.0395
H 1.6096 -5.3138 3.1595
H 0.8185 -5.8953 1.7565
H 0.1704 -3.8507 3.4507
C 3.2137 0.5557 -5.8654
C 2.5717 1.9681 -6.0618
O 1.8719 2.2463 -4.8574
H 2.4079 -0.1275 -5.5971
H 3.7711 0.4950 -4.9306
H 3.5652 0.1124 -6.7970
H 1.9983 1.8573 -6.9821
H 3.3320 2.7148 -6.2910
H 1.4595 3.1048 -4.9775
C -4.6288 -2.9823 -1.0734
C -6.0350 -2.8513 -1.7601
O -6.3949 -4.0090 -2.4661
H -4.2461 -2.0056 -0.7773
H -3.8914 -3.4943 -1.6918
H -4.7508 -3.6373 -0.2108
H -6.1304 -1.9572 -2.3762
H -6.7199 -2.7125 -0.9236
H -6.3807 -3.8714 -3.4161
-- stop --
One week after her arrival, ROYALIST carried out an action bombardment against possible terrorist positions inland from Tanjing Lamput.
In late August 1957 a series of Fleet exercises were carried out in the Hong Kong area and the ship then proceeded via Singapore to Penang for the Merdeka celebrations in connection with the Malayan Proclamation of Independence.
A 14-day self-maintenance period at Singapore followed before ROYALIST departed for Hong Kong, Japanese ports, and South Korea with other naval units of the Far East Station.
Ports visited during October and November included Yokosuka, Kobe, and Sasebo in Japan, and Inchon, Pusan, and the Island of Paengyong-do in Korea. The ship’s visit to Kobe coincided with the annual port festival, and during this period His Imperial Highness Prince Takamatsu was received on board with due ceremony.’
Returning to Hong Kong in mid-November 1957, ROYALIST remained in that area for several weeks before proceeding to Singapore for self-refit and docking.
On 20 February; 1958, a two-hour bombardment was carried out in an area to the west of Tanjong Punggai in south-east Johore believed to be occupied by Malayan terrorists.
In late February ROYALIST took part in a series of large-scale concentration exercises with other units of the Far East Fleet.
At the Singapore naval base on 3 March 1958, ROYALIST was visited by the Prime Minister, the Right Hon. Walter Nash, P.C., M.P.
A further series of exercises in the Malayan area took place and the north-east Borneo ports of Sandakan and Jesselton were visited in late March 1958.
The modernised Dido class cruiser ROYALIST serving with the Far East Fleet continued as New Zealand’s naval contribution to the Far East Strategic Reserve until 16 June 1958, being relieved on the station by the frigate HMNZS ROTOITI.
During this period ROYALIST played a major part in a number of combined exercises with units of other Commonwealth and SEA TO power navies and air forces. Ports visited included Hong Kong and the Vietnamese port of Saigon where national salutes and courtesies were exchanged. On completion of a large-scale maritime exercise in the South China Sea, ROYALIST, in company with ships of most SEATO power navies, paid a two-day visit to Manila.
The ship returned to Auckland, via Cairns, on 3 July 1958 after an absence of 14 months and commenced a period of leave, refit, and docking.
In January 1959 ROYALIST, in the course of a short New Zealand cruise, visited Wellington, Lyttelton, Timaru, and Dunedin. During this cruise, the Minister of Defence, Hon. P. G. Connolly, D.S.C., V.R.D., M.P., took passage from Lyttelton to Timaru and Dunedin. After participating in the annual ceremony at Waitangi in early February the ship proceeded for a further period of service on the Far East Station and joined RAN and RN ships in an intensive exercise programme in Australian waters before arriving in Singapore on 26 March 1959.
HMNZS ROYALIST has spent a busy and fruitful year, which began with two months spent on the Far East Station during which she took part in the SEATO exercise “Sea Demon”. On passage back to New Zealand a goodwill visit was made to Brisbane in connection with the Queensland Centenary celebrations.
In July and August 1959, ROYALIST had the honour of carrying His Excellency the Governor-General and Lady Cobham on their Vice-Regal tour of island territories, during which the ship visited 15 islands in the Tonga, Friendly, Samoa, Cook, Tokelau, and Fiji groups.
In November 1959 ROYALIST temporarily joined the Australian Fleet for a brief but extremely valuable period of exercises in New Zealand waters with HMA Ships MELBOURNE, VOYAGER, VAMPIRE, and HMNZS KANIERE. Captain H. D. Stevenson, RAN, took command in January 1960 under an exchange agreement, which heralds an era of even closer cooperation between the two navies.
In February 1960 HMNZS ROYALIST attended the annual Treaty of Waitangi celebrations at Port Russell with HMNZ Ships ROTOITI and KANIERE, HMAS SWAN, and HM Submarine ANDREW in company. This was the largest number of ships of combined navies to be present for the Waitangi celebrations for some years. A naval guard and the band of the Royal Marines took part in the ceremony and the ships were illuminated at night.
After a three-day exercise with these ships in the Hauraki Gulf, ROYALIST sailed for an exacting but popular and successful cruise of the major ports of New Zealand.
From May to September 1960 HMNZS ROYALIST underwent a major refit in HMNZ Dockyard at Devonport, the first to be undertaken on such a scale since the ship completed modernisation in 1956.
In September 1960 the ship re-commissioned under the command of Captain H. D. Stevenson, RAN, and after successfully completing trials the new ship’s company proceeded to work themselves up to a peak of efficiency in an intensive period of drills and evolutions. The first half of this programme was carried out in the Auckland area, and this was followed by a further period of exercises at Jervis Bay, during which the ship visited Sydney. On return to Auckland Christmas leave was given,,
On 23 January 1961 the ship again sailed for Australian waters, this time en route for a six months tour of duty on the Far East Station as New Zealand’s contribution to the naval element of the Commonwealth Strategic Reserve. Her first assignment was to participate, with ships of the Royal Australian Navy, the Royal Ceylon Navy, the Royal Navy, and the Indian and Pakistan Navies, in the most ambitious combined exercise yet held in this annual series, known by the code name “JET ’61”. This was followed by highly successful flag showing visits to Madras in India, and Chittagong in Pakistan, on conclusion of which the ship arrived in Singapore on 27 March 1961.
HMNZS ROYALIST sailed from Singapore on 19 April 1961 to take part in Exercise “Pony Express”. This exercise, which entailed an opposed landing on North West Borneo using British and American troops and equipment, was successful and showed once more the high degree of compatibility achieved by ships of the different navies.
A cruise to Korea and Japan with units of the Royal Navy had been planned for May and June. Unfortunately, because of the unsettled political situation, the visit to Korea was cancelled but the ships were made welcome in Sasebo, Nagoya, and Yokohama. The ship sailed from Singapore on 8 July, being relieved on the Far East Station by HMNZS PUKAKI, and after calling at Darwin, Port Moresby, and Noumea arrived at Nukualofa on 31 July. His Excellency the Governor-General embarked at Nukualofa to carry out a Vice-Regal tour visiting Rarotonga, Mangaia, Mauke, Mitaro, and Atiu in the Lower Cook’s, Apia, and Pago Pago before disembarking at Suva on 17 August 1961. The ships arrived at Auckland on 22 August 1961 for docking, self-refit, and leave.
On 23 October 1961, ROYALIST under the command of Commodore J. O’C. Ross, with HMNZS OTAGO in company sailed for exercises with the Australian Fleet. After a comprehensive series of anti-submarine and surface exercises the ships participated in the Royal Australian Navy’s fiftieth birthday celebrations in Melbourne. A combined force comprising HMNZ Ships ROYALIST, and OTAGO, HMA Ships ANZAC, VOYAGER, QUEENBOROUGH, YARRA, and PARAMATTA, HMS CAPRICE, and HM Submarines TRUMP and TAPIR, then departed for Auckland. Trans Tasman anti-submarine exercises were conducted during passage. The force arrived in Auckland on 25 November 1961 and, after participating in exercises (AUCKEX 6), maintenance and pre-refit trials were carried out before Christmas leave started on 14 December 1961.
The refit of ROYALIST started on 15 January 1962 and is due to be completed on 13 April. After trials ROYALIST will be operational on 25 May 1962.
HMNZS ROYALIST added to New Zealand naval history when the ship left Auckland for Pearl Harbour in June to undergo the first work up by an RNZN ship under the U.S. Navy system. A call was made en route at Apia where a four-gun saluting battery was presented to Western Samoa. On arrival at Pearl Harbour ROYALIST began a month of battle-training exercises with units of the U.S. Navy, during which all functions of the warship were tested. The experience proved so satisfactory as to raise hopes of repeating it with other RNZN ships.
ROYALIST then sailed for Canada and the U.S.A. on the first extended cruise of the North American Pacific coast by a ship of the RNZN, and visited Victoria, B.C., Vancouver, Seattle, San Francisco, Long Beach, and San Diego, before returning to New Zealand in October. ROYALIST sailed again from Auckland in February 1962 to relieve HMNZS TARANAKI on the Far East Station, visiting Brisbane, Darwin, and Port Swettenham en route to Singapore.
HMNZS ROYALIST, serving with the Far East Fleet, participated in exercise “SEA SERPENT’, described below. The ship also visited Hong Kong, Manila, Hakata, Kure and Tokyo before sailing from Singapore in June for return to New Zealand. Visits were made to Darwin and Townsville en route to Auckland.
ROYALIST sailed from Auckland in August to participate in a joint exercise with Australian warships. Following her return from Sydney, ROYALIST began a New Zealand cruise and. visited Lyttelton, Picton. Nelson, and Napier before returning to Auckland in October 1963.
ROYALIST visited the Bay of Islands in February 1964 to participate in the Waitangi Day celebrations and subsequently carried out exercises and gunnery practice in the Hauraki Gulf.
HMNZS ROYALIST sailed in April 1964 from Auckland with the Governor-General, Lady Fergusson, and their party for a four-week tour of 17 southwest Pacific islands. The ship then proceeded to the Far East where she took part in exercise “LIGTAS” and visited Hong Kong, Bangkok, and Singapore before returning to New Zealand via Darwin and Brisbane in August. The ship then refitted at Auckland until November, and in March 1965 sailed for Pearl Harbour for refresher training with the U.S. Navy’s Fleet Training Group.
Before relieving OTAGO in May 1965 as New Zealand’s contribution to the Commonwealth Strategic Reserve, the cruiser ROYALIST underwent refresher training at Pearl Harbour earning a final average grade for training of excellent and a pass mark of 90 per cent. While on the Far East station the ship made visits to Thailand and Japan. ROYALIST left Singapore for New Zealand on 21 October 1965.
On 1 November 1965, in the Solomon Sea, serious salt contamination of the boilers forced the ship to come to a stop. Following assistance from HMS DAMPIER, ROYALIST was taken in tow by the Australian ocean-going tug CARLOCK and, shortly afterwards, HMNZS LACHLAN replenished her at sea with urgently needed supplies.
By 12 November 1965 the crew had carried out sufficient repairs for ROYALIST to be able to slip the tow and complete the voyage home under her own power. ROYALIST arrived in Auckland on 17 November 1965 and has since been used alongside for training purposes.